Work order
What is needed: count the lines below that contain the word "C25H48CaF6O24P" and give the number alone.
Data
-- begin --
# 1
ORCA calculation (ωB97M-V with the def2-TZVPD basis set) on a molecular structure, C25H48CaF6O24P at a distorted geometry.

Summary:
- 2S+1: 2
- HOMO-LUMO gap (spin up / spin down): 10.964 / 4.201 eV
- E_tot: -119866.8238 eV
- Net charge: +2

CARTESIAN COORDINATES (ANGSTROEM)
Ca (1.77, 0.97, -1.77)
P (0.12, 0.66, 0.90)
F (-1.41, 1.03, 1.10)
F (-0.12, -0.23, -0.46)
F (0.29, 1.86, -0.13)
F (1.70, 0.40, 0.67)
F (0.43, 1.62, 2.15)
F (0.09, -0.72, 1.77)
C (-1.09, -0.82, 5.15)
C (-1.83, 0.24, 5.90)
C (-1.04, 1.57, 5.86)
O (-2.10, 2.52, 5.74)
C (-3.22, 1.87, 5.32)
O (-4.27, 2.42, 5.10)
O (-2.95, 0.60, 5.13)
H (-0.81, -0.53, 4.14)
H (-1.62, -1.77, 5.12)
H (-0.18, -1.12, 5.67)
H (-1.99, -0.07, 6.93)
H (-0.40, 1.55, 4.97)
H (-0.50, 1.68, 6.80)
C (-0.28, 3.48, -5.24)
O (-1.40, 3.35, -4.37)
C (-1.29, 2.42, -3.26)
O (-0.21, 1.86, -2.91)
O (-2.52, 2.37, -2.82)
C (-2.98, 1.48, -1.85)
H (0.18, 2.55, -5.56)
H (0.50, 4.17, -4.91)
H (-0.60, 4.04, -6.12)
H (-2.39, 0.56, -1.91)
H (-4.06, 1.35, -1.91)
H (-2.86, 1.89, -0.85)
C (-0.04, 5.09, -1.09)
O (1.36, 5.36, -1.05)
C (2.28, 4.53, -1.53)
O (2.17, 3.33, -1.93)
O (3.43, 5.21, -1.63)
C (4.66, 4.79, -2.22)
H (-0.22, 4.05, -0.80)
H (-0.34, 5.00, -2.13)
H (-0.53, 5.96, -0.65)
H (4.65, 3.72, -2.38)
H (5.44, 5.09, -1.51)
H (4.93, 5.31, -3.14)
C (-3.70, -1.17, 1.84)
O (-4.84, -0.91, 2.65)
C (-5.29, -1.84, 3.54)
O (-4.88, -2.98, 3.71)
O (-6.27, -1.38, 4.28)
C (-6.85, 0.01, 4.16)
H (-3.48, -0.45, 1.06)
H (-3.99, -2.08, 1.30)
H (-2.76, -1.41, 2.34)
H (-6.12, 0.78, 4.40)
H (-7.59, 0.02, 4.96)
H (-7.23, 0.26, 3.17)
C (4.84, 3.30, 0.88)
O (5.65, 2.30, 0.26)
C (5.05, 1.45, -0.60)
O (3.84, 1.49, -1.00)
O (5.88, 0.58, -1.23)
C (7.18, 0.33, -0.70)
H (5.43, 4.15, 1.22)
H (4.13, 2.98, 1.64)
H (4.30, 3.84, 0.10)
H (7.25, 0.06, 0.35)
H (7.79, 1.20, -0.93)
H (7.53, -0.58, -1.19)
C (-1.48, -3.37, -2.94)
O (-0.48, -2.41, -2.62)
C (-0.04, -1.50, -3.50)
O (0.74, -0.61, -3.24)
O (-0.64, -1.71, -4.75)
C (-0.48, -0.69, -5.74)
H (-1.58, -4.13, -2.16)
H (-1.19, -3.88, -3.85)
H (-2.40, -2.80, -3.10)
H (-1.04, -0.73, -6.67)
H (0.53, -0.50, -6.11)
H (-0.70, 0.31, -5.36)
C (5.26, -1.92, -3.24)
O (4.77, -2.55, -2.10)
C (3.56, -2.09, -1.54)
O (2.96, -1.08, -1.85)
O (3.13, -3.04, -0.68)
C (2.02, -2.91, 0.16)
H (4.92, -2.41, -4.15)
H (6.35, -1.83, -3.22)
H (4.95, -0.88, -3.33)
H (2.32, -2.75, 1.20)
H (1.42, -3.82, 0.19)
H (1.41, -2.01, 0.06)
C (-4.16, -6.46, 0.32)
O (-2.87, -5.91, 0.53)
C (-2.58, -5.23, 1.68)
O (-3.45, -4.84, 2.43)
O (-1.34, -4.83, 1.70)
C (-0.90, -3.76, 2.50)
H (-4.76, -5.88, -0.38)
H (-4.79, -6.46, 1.21)
H (-4.09, -7.47, -0.09)
H (0.04, -4.13, 2.92)
H (-1.57, -3.46, 3.30)
H (-0.48, -2.91, 1.95)

Mulliken population analysis, charges in e, atoms 1 to 6:
1 Ca 2.453
2 P 1.423
3 F -0.499
4 F -0.310
5 F -0.330
6 F -0.479

=====

# 2
ORCA calculation (ωB97M-V with the def2-TZVPD basis set) on 15 unconnected molecules or ions with the total composition C25H48Cl28INO4 at a distorted geometry.

Summary:
- HOMO-LUMO gap: 9.712 eV
- E_tot: -395111.9045 eV

CARTESIAN COORDINATES (ANGSTROEM)
C (-0.81, -3.71, 0.39)
C (-0.87, -3.27, -1.08)
C (0.35, -2.50, -1.57)
O (0.08, -1.11, -1.38)
C (0.83, -0.27, -2.23)
N (1.08, 1.02, -1.60)
C (0.55, 2.17, -2.35)
C (-0.98, 2.32, -2.16)
C (-1.37, 3.77, -2.44)
C (-1.45, 1.94, -0.75)
C (2.43, 1.20, -1.22)
O (3.36, 1.45, -1.96)
O (2.65, 1.02, 0.12)
C (1.97, 1.95, 0.95)
C (1.31, 1.36, 2.17)
O (0.87, 2.12, 3.04)
I (1.06, -0.75, 2.38)
H (-0.16, -3.05, 0.95)
H (-1.81, -3.60, 0.81)
H (-0.46, -4.73, 0.45)
H (-1.12, -4.10, -1.74)
H (-1.69, -2.56, -1.16)
H (1.23, -2.77, -0.97)
H (0.57, -2.72, -2.61)
H (1.75, -0.76, -2.55)
H (0.20, -0.07, -3.10)
H (1.02, 3.07, -1.98)
H (0.84, 2.11, -3.40)
H (-1.48, 1.68, -2.89)
H (-2.41, 3.92, -2.17)
H (-0.80, 4.41, -1.76)
H (-1.20, 4.06, -3.47)
H (-0.92, 1.08, -0.36)
H (-1.33, 2.77, -0.05)
H (-2.50, 1.65, -0.77)
H (2.70, 2.67, 1.32)
H (1.19, 2.49, 0.42)
C (-4.63, 2.08, 1.93)
Cl (-4.65, 2.42, 0.20)
Cl (-3.47, 0.81, 2.33)
H (-4.35, 2.99, 2.46)
H (-5.62, 1.75, 2.22)
-- stop --
Here it is
1